## Source
- - -
71
Properties=species:S:1:pos:R:3:forces:R:3:lowdin_charge:R:1 method="wB97M-V/def2-TZVPD" homo_energy_ev=-11.0343 total_energy_ha=-1522.6608 charge=+1 gap_ev=7.809
C -1.902 0.021 -0.474 -2.760 -0.182 -1.378 -0.20
H -5.013 3.904 -1.553 0.646 -0.299 0.513 0.14
C -2.820 -0.049 0.800 2.237 -0.139 1.603 -0.03
O 7.273 -0.466 2.303 0.117 -0.071 -0.429 -0.21
H 6.008 -1.034 -1.412 -0.098 0.090 0.003 0.13
H 3.753 -0.941 -0.428 -0.004 0.069 0.068 0.10
H -6.179 -2.658 -1.981 -0.665 0.643 -0.058 0.12
H 9.190 -0.750 3.029 0.115 -0.048 -0.141 0.09
H -3.134 4.748 -0.202 -0.249 -1.006 0.405 0.14
H 5.981 2.266 0.887 0.098 -0.055 -0.110 0.13
C -2.629 2.241 1.750 0.169 0.629 0.890 -0.18
C -3.519 3.737 0.121 -0.941 0.884 -1.316 -0.16
H 5.111 0.939 1.616 0.107 -0.189 0.146 0.11
N 0.460 -1.672 -0.098 0.775 0.767 -2.088 0.13
O -6.767 -0.604 -2.055 0.933 -0.825 -0.083 -0.17
C -4.256 3.174 -1.161 0.650 0.360 0.140 -0.19
H -4.775 -0.889 -2.685 -0.623 0.636 0.562 0.13
C 3.112 -0.931 1.901 0.339 -0.279 0.223 -0.12
C 4.580 -1.423 0.109 0.350 -0.119 0.247 -0.19
C 1.194 -2.626 -0.721 0.658 -0.990 -1.131 -0.11
H 8.151 1.095 1.231 -0.003 -0.053 -0.028 0.13
C 8.539 -1.092 2.216 -0.098 0.037 0.217 -0.11
H -3.896 0.218 0.707 1.105 0.321 -0.341 0.12
C 6.010 1.185 1.051 0.142 0.169 -0.026 -0.17
C -1.944 0.825 1.818 -1.441 0.446 -0.465 -0.20
H 7.296 1.523 2.733 0.040 0.225 -0.148 0.13
H -4.316 1.362 -2.832 -0.837 0.020 0.460 0.11
O 5.965 0.609 -0.254 -0.160 -0.145 0.105 -0.12
C -0.444 0.674 1.342 -0.912 2.219 2.122 -0.05
H 1.295 -3.605 -0.186 -0.163 1.127 -0.378 0.13
C -7.349 -2.102 -0.178 0.410 -0.442 -0.468 -0.08
H -2.795 -1.074 1.269 0.093 0.603 -1.204 0.14
H 0.758 0.762 -2.615 -0.058 -0.720 0.726 0.12
H -4.996 -0.621 -0.913 -0.355 0.516 -0.766 0.11
H -7.949 -2.294 -2.285 0.840 0.381 0.207 0.12
C -5.212 1.248 -2.156 1.264 -0.738 -0.527 -0.16
O 4.413 -1.315 1.516 -0.290 0.456 -0.170 -0.18
C 5.895 -0.810 -0.347 0.117 0.051 -0.139 -0.17
H -4.251 3.933 0.948 0.745 -0.440 -0.512 0.14
C -7.034 -1.975 -1.731 -0.813 -0.118 1.401 -0.25
O -4.894 1.920 -0.929 0.220 0.134 -0.221 -0.18
H -3.734 2.073 1.878 1.067 0.017 -0.026 0.13
O -2.398 2.936 0.517 -0.582 -0.597 0.340 -0.16
H 9.014 -0.898 1.249 0.054 0.049 0.041 0.09
H 2.439 -1.795 1.865 -0.200 0.123 -0.018 0.08
H 8.391 -2.168 2.310 -0.054 0.060 0.090 0.09
F -2.273 0.865 -1.532 -0.093 -0.702 1.067 0.02
H 6.750 -1.273 0.147 -0.154 -0.067 0.223 0.12
H -7.943 -3.039 -0.027 0.421 0.811 0.028 0.07
H -0.023 1.689 1.585 0.184 -1.091 -0.498 0.15
H 0.121 -0.082 1.934 -0.492 0.167 -1.193 0.14
H -0.273 1.458 -0.528 -0.784 -0.271 -0.411 0.19
H -1.998 0.526 2.896 -0.153 -0.054 -1.023 0.16
H 2.727 -0.121 1.270 -0.045 -0.015 -0.090 0.07
H -7.927 -1.216 0.201 0.565 -0.888 -0.482 0.09
H -6.083 1.704 -2.689 0.432 -0.535 0.639 0.14
H -3.452 3.085 -1.950 -0.761 -0.132 0.593 0.12
N -0.507 0.535 -0.146 0.142 -2.473 0.689 0.06
C 1.686 -1.256 -2.744 -1.359 -0.585 2.494 0.00
H 4.579 -2.491 -0.138 0.012 0.014 -0.251 0.13
H -1.934 -1.011 -0.904 0.932 0.996 0.214 0.17
H -2.311 2.926 2.588 -0.083 -0.742 -0.601 0.14
H 3.161 -0.563 2.927 0.038 -0.092 -0.005 0.10
C -5.377 -0.304 -1.925 -0.310 0.639 -0.149 -0.18
H -6.395 -2.228 0.409 -0.948 0.292 -0.442 0.06
C 1.826 -2.536 -2.028 -1.101 3.049 -0.131 -0.02
H 2.402 -3.337 -2.533 -0.567 0.427 0.859 0.12
H 2.114 -1.079 -3.755 -0.324 -0.211 0.980 0.12
C 0.894 -0.204 -2.085 0.841 -2.256 0.313 0.03
C 0.342 -0.528 -0.792 2.017 0.302 -1.422 -0.27
C 7.272 0.878 1.846 -0.391 -0.163 0.260 -0.19
- - -
## Wanted
Please transcribe all of the material further above without additions.
## Completed
71
Properties=species:S:1:pos:R:3:forces:R:3:lowdin_charge:R:1 method="wB97M-V/def2-TZVPD" homo_energy_ev=-11.0343 total_energy_ha=-1522.6608 charge=+1 gap_ev=7.809
C -1.902 0.021 -0.474 -2.760 -0.182 -1.378 -0.20
H -5.013 3.904 -1.553 0.646 -0.299 0.513 0.14
C -2.820 -0.049 0.800 2.237 -0.139 1.603 -0.03
O 7.273 -0.466 2.303 0.117 -0.071 -0.429 -0.21
H 6.008 -1.034 -1.412 -0.098 0.090 0.003 0.13
H 3.753 -0.941 -0.428 -0.004 0.069 0.068 0.10
H -6.179 -2.658 -1.981 -0.665 0.643 -0.058 0.12
H 9.190 -0.750 3.029 0.115 -0.048 -0.141 0.09
H -3.134 4.748 -0.202 -0.249 -1.006 0.405 0.14
H 5.981 2.266 0.887 0.098 -0.055 -0.110 0.13
C -2.629 2.241 1.750 0.169 0.629 0.890 -0.18
C -3.519 3.737 0.121 -0.941 0.884 -1.316 -0.16
H 5.111 0.939 1.616 0.107 -0.189 0.146 0.11
N 0.460 -1.672 -0.098 0.775 0.767 -2.088 0.13
O -6.767 -0.604 -2.055 0.933 -0.825 -0.083 -0.17
C -4.256 3.174 -1.161 0.650 0.360 0.140 -0.19
H -4.775 -0.889 -2.685 -0.623 0.636 0.562 0.13
C 3.112 -0.931 1.901 0.339 -0.279 0.223 -0.12
C 4.580 -1.423 0.109 0.350 -0.119 0.247 -0.19
C 1.194 -2.626 -0.721 0.658 -0.990 -1.131 -0.11
H 8.151 1.095 1.231 -0.003 -0.053 -0.028 0.13
C 8.539 -1.092 2.216 -0.098 0.037 0.217 -0.11
H -3.896 0.218 0.707 1.105 0.321 -0.341 0.12
C 6.010 1.185 1.051 0.142 0.169 -0.026 -0.17
C -1.944 0.825 1.818 -1.441 0.446 -0.465 -0.20
H 7.296 1.523 2.733 0.040 0.225 -0.148 0.13
H -4.316 1.362 -2.832 -0.837 0.020 0.460 0.11
O 5.965 0.609 -0.254 -0.160 -0.145 0.105 -0.12
C -0.444 0.674 1.342 -0.912 2.219 2.122 -0.05
H 1.295 -3.605 -0.186 -0.163 1.127 -0.378 0.13
C -7.349 -2.102 -0.178 0.410 -0.442 -0.468 -0.08
H -2.795 -1.074 1.269 0.093 0.603 -1.204 0.14
H 0.758 0.762 -2.615 -0.058 -0.720 0.726 0.12
H -4.996 -0.621 -0.913 -0.355 0.516 -0.766 0.11
H -7.949 -2.294 -2.285 0.840 0.381 0.207 0.12
C -5.212 1.248 -2.156 1.264 -0.738 -0.527 -0.16
O 4.413 -1.315 1.516 -0.290 0.456 -0.170 -0.18
C 5.895 -0.810 -0.347 0.117 0.051 -0.139 -0.17
H -4.251 3.933 0.948 0.745 -0.440 -0.512 0.14
C -7.034 -1.975 -1.731 -0.813 -0.118 1.401 -0.25
O -4.894 1.920 -0.929 0.220 0.134 -0.221 -0.18
H -3.734 2.073 1.878 1.067 0.017 -0.026 0.13
O -2.398 2.936 0.517 -0.582 -0.597 0.340 -0.16
H 9.014 -0.898 1.249 0.054 0.049 0.041 0.09
H 2.439 -1.795 1.865 -0.200 0.123 -0.018 0.08
H 8.391 -2.168 2.310 -0.054 0.060 0.090 0.09
F -2.273 0.865 -1.532 -0.093 -0.702 1.067 0.02
H 6.750 -1.273 0.147 -0.154 -0.067 0.223 0.12
H -7.943 -3.039 -0.027 0.421 0.811 0.028 0.07
H -0.023 1.689 1.585 0.184 -1.091 -0.498 0.15
H 0.121 -0.082 1.934 -0.492 0.167 -1.193 0.14
H -0.273 1.458 -0.528 -0.784 -0.271 -0.411 0.19
H -1.998 0.526 2.896 -0.153 -0.054 -1.023 0.16
H 2.727 -0.121 1.270 -0.045 -0.015 -0.090 0.07
H -7.927 -1.216 0.201 0.565 -0.888 -0.482 0.09
H -6.083 1.704 -2.689 0.432 -0.535 0.639 0.14
H -3.452 3.085 -1.950 -0.761 -0.132 0.593 0.12
N -0.507 0.535 -0.146 0.142 -2.473 0.689 0.06
C 1.686 -1.256 -2.744 -1.359 -0.585 2.494 0.00
H 4.579 -2.491 -0.138 0.012 0.014 -0.251 0.13
H -1.934 -1.011 -0.904 0.932 0.996 0.214 0.17
H -2.311 2.926 2.588 -0.083 -0.742 -0.601 0.14
H 3.161 -0.563 2.927 0.038 -0.092 -0.005 0.10
C -5.377 -0.304 -1.925 -0.310 0.639 -0.149 -0.18
H -6.395 -2.228 0.409 -0.948 0.292 -0.442 0.06
C 1.826 -2.536 -2.028 -1.101 3.049 -0.131 -0.02
H 2.402 -3.337 -2.533 -0.567 0.427 0.859 0.12
H 2.114 -1.079 -3.755 -0.324 -0.211 0.980 0.12
C 0.894 -0.204 -2.085 0.841 -2.256 0.313 0.03
C 0.342 -0.528 -0.792 2.017 0.302 -1.422 -0.27
C 7.272 0.878 1.846 -0.391 -0.163 0.260 -0.19